_Given_
┌──
[1]
Simulated powder X-ray diffraction pattern of Ce7In2 for Cu Ka, from a DFT-relaxed cell (GGA-PBE, Alexandria).

```
9
Lattice="5.395 0.000 0.000 -2.697 4.672 0.000 0.000 0.000 9.589" Properties=species:S:1:pos:R:3 pbc="T T T"
Ce 0.000 0.000 0.000
Ce 0.000 0.000 3.490
Ce 0.000 0.000 6.099
Ce 0.000 3.115 1.134
Ce 0.000 3.115 3.937
Ce 2.697 1.557 5.651
Ce 2.697 1.557 8.454
In 0.000 3.115 7.368
In 2.697 1.557 2.221
```

Top 8 peaks for 15° ≤ 2θ ≤ 90°, sorted by position:
2θ/deg  d_spacing  intensity
33.21  2.697  100
33.98  2.638  79
48.25  1.886  29
59.34  1.557  19
59.84  1.546  31
61.31  1.512  8
69.72  1.349  11
79.88  1.201  13

[2]
Simulated powder X-ray diffraction pattern of Ce8In3 for Cu Ka, from a DFT-relaxed cell (GGA-PBE, Alexandria).

```
11
Lattice="-1.562 2.605 17.290 1.562 -2.605 17.290 1.562 2.605 -17.290" Properties=species:S:1:pos:R:3 pbc="T T T"
Ce 0.000 0.000 1.636
Ce 0.000 0.000 7.746
Ce 1.562 0.000 10.953
Ce 1.562 0.000 14.227
Ce 0.000 2.605 3.064
Ce 0.000 2.605 6.337
Ce 0.000 0.000 26.835
Ce 0.000 0.000 32.945
In 1.562 0.000 4.673
In 0.000 0.000 17.290
In 0.000 2.605 12.617
```

Top 8 peaks for 15° ≤ 2θ ≤ 90°, sorted by position:
2θ/deg  d_spacing  intensity
33.29  2.692  100
33.95  2.640  47
34.42  2.605  47
35.07  2.559  62
49.13  1.854  39
59.18  1.561  31
60.94  1.520  17
69.61  1.351  23

[3]
Simulated powder X-ray diffraction pattern of Ce5In for Cu Ka, from a DFT-relaxed cell (GGA-PBE, Alexandria).

```
6
Lattice="4.511 -2.609 0.000 4.511 2.609 0.000 -0.007 0.000 6.725" Properties=species:S:1:pos:R:3 pbc="T T T"
Ce 0.000 0.000 0.000
Ce 3.008 0.000 1.821
Ce 3.008 0.000 4.905
Ce 6.006 0.000 1.820
Ce 6.007 0.000 4.905
In -0.004 0.000 3.363
```

Top 8 peaks for 15° ≤ 2θ ≤ 90°, sorted by position:
2θ/deg  d_spacing  intensity
33.22  2.697  92
34.40  2.607  100
43.95  2.060  12
48.57  1.874  31
60.86  1.522  27
61.63  1.505  18
66.13  1.413  24
86.84  1.122  10

~~~~~

Record 1
This entry pairs a crystal structure of UFeSi2 with its simulated powder diffraction line list. Radiation: λ = 1.5418 Å (Cu Kα). Structure: a DFT-relaxed cell (GGA-PBE, the Materials Project).

Structural model:
abc: 8.609 8.609 3.910
angles: 90.00 90.00 154.34
Fractional coordinates of all 8 atoms:
U 0.110 0.890 0.750
U 0.890 0.110 0.250
Fe 0.330 0.670 0.750
Fe 0.670 0.330 0.250
Si 0.250 0.750 0.250
Si 0.463 0.537 0.750
Si 0.537 0.463 0.250
Si 0.750 0.250 0.750

The 12 most intense peaks (15° ≤ 2θ ≤ 90°), by angle:
d (Å), 2θ (°), I (rel.)
4.197, 21.17, 59
3.728, 23.87, 34
3.544, 25.13, 56
2.698, 33.21, 68
2.523, 35.58, 63
2.456, 36.59, 100
2.275, 39.61, 36
1.955, 46.45, 26
1.912, 47.56, 24
1.677, 54.75, 26
1.545, 59.85, 29
1.273, 74.57, 22

---

Record 2
This entry pairs a crystal structure of Si3O7 with its simulated powder diffraction line list. Radiation: λ = 1.5418 Å (Cu Kα). Structure: a DFT-relaxed cell (GGA-PBE, the Materials Project).

Structural model:
abc: 8.954 8.990 9.091
angles: 99.16 109.03 96.78
Fractional coordinates of all 20 atoms:
Si 0.000 0.000 0.000
Si 0.079 0.384 0.359
Si 0.192 0.631 0.196
Si 0.288 0.983 0.293
Si 0.772 0.224 0.085
Si 0.896 0.651 0.907
O 0.007 0.626 0.082
O 0.101 0.054 0.896
O 0.108 0.002 0.185
O 0.138 0.278 0.474
O 0.183 0.523 0.325
O 0.283 0.801 0.300
O 0.289 0.564 0.083
O 0.358 0.093 0.473
O 0.432 0.055 0.240
O 0.725 0.532 0.835
O 0.881 0.129 0.009
O 0.882 0.832 0.921
O 0.889 0.356 0.241
O 0.966 0.591 0.767

The 12 most intense peaks (15° ≤ 2θ ≤ 90°), by angle:
d (Å), 2θ (°), I (rel.)
5.685, 15.59, 100
5.555, 15.95, 98
5.086, 17.44, 32
4.937, 17.97, 49
4.364, 20.35, 39
4.165, 21.33, 50
4.060, 21.89, 50
3.791, 23.47, 62
3.714, 23.96, 41
3.412, 26.12, 33
3.374, 26.42, 40
3.351, 26.60, 60

---

Record 3
This entry pairs a crystal structure of ZnGa2S4 with its simulated powder diffraction line list. Radiation: λ = 1.5418 Å (Cu Kα). Structure: a DFT-relaxed cell (GGA-PBE, the Materials Project).

Structural model:
abc: 13.040 13.040 6.395
angles: 98.48 98.48 121.19
└──
_Request_
The reader should write out every line earlier on that contains the word "model".
_Result_
Structural model:
Structural model:
Structural model: